## Given
-- begin --
# 1
Entry from the Open Molecules 2025 dataset: a structure of composition C21H61BN9O9Pd at a distorted geometry (ωB97M-V/def2-TZVPD).

Geometry as ORCA input:
```
! RIJCOSX wB97M-V def2-TZVPD def2/J DEFGRID3
* xyz 1 3
Pd 3.144 -2.232 0.184
B 1.680 -0.605 -0.267
H 0.803 0.024 -0.237
H 1.614 -1.519 -0.836
H 2.497 0.013 -0.606
H 1.845 -0.884 0.762
C -1.789 0.094 1.848
O -2.686 1.254 1.855
C -2.237 2.153 0.810
C -2.739 3.643 1.149
N -1.974 4.050 2.297
C -2.267 5.448 2.474
C -1.520 6.422 1.577
O -2.404 7.450 1.220
C -1.760 8.467 0.472
H -0.775 0.151 2.243
H -1.806 -0.433 0.893
H -2.159 -0.656 2.547
H -2.436 1.628 -0.124
H -1.160 2.321 0.811
H -3.816 3.632 1.316
H -2.484 4.243 0.275
H -0.997 3.814 2.201
H -1.919 5.600 3.496
H -3.344 5.590 2.383
H -1.200 5.996 0.626
H -0.669 6.891 2.069
H -1.244 8.181 -0.445
H -0.988 9.001 1.026
H -2.338 9.372 0.284
C -6.941 -5.595 0.771
O -6.247 -5.251 1.983
C -5.299 -4.198 1.886
C -5.546 -3.038 0.837
N -4.920 -3.194 -0.440
C -4.895 -1.941 -1.167
C -3.777 -2.074 -2.236
O -2.606 -1.694 -1.559
C -1.492 -1.694 -2.390
H -7.712 -6.341 0.962
H -6.264 -6.236 0.207
H -7.414 -4.853 0.128
H -4.355 -4.693 1.659
H -4.998 -3.765 2.840
H -4.941 -2.207 1.202
H -6.573 -2.674 0.863
H -3.959 -3.497 -0.379
H -4.430 -1.191 -0.527
H -5.888 -1.631 -1.492
H -3.979 -1.486 -3.131
H -3.742 -3.108 -2.579
H -1.705 -1.224 -3.350
H -1.137 -2.712 -2.549
H -0.654 -1.194 -1.905
C 2.181 -3.356 -2.703
O 3.256 -2.913 -1.913
C 4.483 -2.692 -2.570
C 5.390 -1.812 -1.669
N 4.684 -0.913 -0.846
C 5.699 -0.206 -0.030
C 4.954 0.620 1.037
O 5.911 0.895 2.045
C 5.333 1.586 3.199
H 1.287 -3.384 -2.080
H 2.351 -4.266 -3.278
H 2.143 -2.583 -3.471
H 4.381 -2.289 -3.578
H 4.848 -3.691 -2.808
H 5.998 -1.426 -2.488
H 6.103 -2.412 -1.104
H 4.339 -0.239 -1.514
H 6.308 0.466 -0.636
H 6.370 -0.968 0.366
H 4.116 0.057 1.447
H 4.545 1.521 0.580
H 5.363 1.068 4.157
H 4.305 1.909 3.031
H 5.863 2.537 3.247
C 3.089 1.153 -3.423
O 4.088 1.273 -2.686
N 2.036 0.397 -3.282
N 2.951 2.063 -4.306
H 1.158 0.649 -3.712
H 1.989 -0.051 -2.378
H 2.289 1.841 -5.037
H 3.864 2.434 -4.530
C 1.288 2.660 1.094
O 0.949 3.700 1.695
N 1.605 2.480 -0.163
N 1.584 1.565 1.724
H 1.738 1.527 -0.471
H 1.194 3.202 -0.737
H 1.573 0.767 1.105
H 1.510 1.623 2.730
C 0.705 -3.626 1.323
O 1.605 -3.671 0.551
N 0.303 -2.525 1.930
N -0.159 -4.545 1.381
H -0.620 -2.467 2.337
H 0.672 -1.623 1.665
H -0.906 -4.606 2.057
H -0.115 -5.347 0.768
*
```

Calculated values
HOMO-LUMO gap (alpha / beta): 6.389 / 3.344 eV
HOMO (alpha / beta): -9.64 / -9.64 eV

=====

# 2
Entry from the Open Molecules 2025 dataset: a cluster of 8 separate species, C21H61BNO10 in total at a distorted geometry (ωB97M-V/def2-TZVPD).

Geometry as ORCA input:
```
! RIJCOSX wB97M-V def2-TZVPD def2/J DEFGRID3
* xyz 1 1
O -0.730 -1.709 1.775
N -1.969 -2.066 1.201
B -3.233 -1.311 1.762
O -3.164 -0.018 1.892
O -4.271 -1.990 2.035
H -0.850 -0.895 2.298
H -2.047 -3.073 1.301
H -1.892 -1.857 0.207
H -3.290 0.383 1.023
H -4.276 -2.918 1.768
C -2.500 -4.715 -3.140
C -1.901 -4.224 -1.841
C -0.385 -4.117 -1.933
O -2.264 -5.052 -0.722
H -2.124 -5.715 -3.370
H -3.584 -4.782 -3.068
H -2.255 -4.050 -3.958
H -2.325 -3.239 -1.604
H 0.049 -5.099 -2.128
H 0.044 -3.753 -0.996
H -0.085 -3.444 -2.735
H -1.918 -5.938 -0.882
C 0.363 2.220 -0.993
C -1.053 2.658 -0.678
C -1.111 3.632 0.487
O -1.878 1.494 -0.414
H 0.798 1.698 -0.134
H 0.375 1.534 -1.840
H 0.986 3.072 -1.241
H -1.495 3.130 -1.552
H -0.727 3.173 1.402
H -2.143 3.932 0.675
H -0.520 4.522 0.279
H -1.479 1.034 0.334
C 2.624 0.794 4.391
C 1.896 0.064 3.277
C 2.815 -0.905 2.556
O 1.312 0.989 2.343
H 3.448 1.382 3.979
H 1.956 1.479 4.904
H 3.032 0.093 5.118
H 1.048 -0.482 3.702
H 3.643 -0.367 2.089
H 2.277 -1.427 1.762
H 3.223 -1.645 3.244
H 2.027 1.500 1.943
C 2.069 -5.021 3.180
C 3.212 -4.884 4.176
C 3.195 -6.006 5.202
O 3.153 -3.611 4.826
H 1.108 -4.967 3.702
H 2.100 -4.210 2.451
H 2.117 -5.970 2.647
H 4.161 -4.893 3.643
H 2.265 -5.980 5.776
H 4.019 -5.892 5.903
H 3.276 -6.982 4.725
-- stop --

## Job
The reader should duplicate the notes earlier on verbatim.

## Response
# 1
Entry from the Open Molecules 2025 dataset: a structure of composition C21H61BN9O9Pd at a distorted geometry (ωB97M-V/def2-TZVPD).

Geometry as ORCA input:
```
! RIJCOSX wB97M-V def2-TZVPD def2/J DEFGRID3
* xyz 1 3
Pd 3.144 -2.232 0.184
B 1.680 -0.605 -0.267
H 0.803 0.024 -0.237
H 1.614 -1.519 -0.836
H 2.497 0.013 -0.606
H 1.845 -0.884 0.762
C -1.789 0.094 1.848
O -2.686 1.254 1.855
C -2.237 2.153 0.810
C -2.739 3.643 1.149
N -1.974 4.050 2.297
C -2.267 5.448 2.474
C -1.520 6.422 1.577
O -2.404 7.450 1.220
C -1.760 8.467 0.472
H -0.775 0.151 2.243
H -1.806 -0.433 0.893
H -2.159 -0.656 2.547
H -2.436 1.628 -0.124
H -1.160 2.321 0.811
H -3.816 3.632 1.316
H -2.484 4.243 0.275
H -0.997 3.814 2.201
H -1.919 5.600 3.496
H -3.344 5.590 2.383
H -1.200 5.996 0.626
H -0.669 6.891 2.069
H -1.244 8.181 -0.445
H -0.988 9.001 1.026
H -2.338 9.372 0.284
C -6.941 -5.595 0.771
O -6.247 -5.251 1.983
C -5.299 -4.198 1.886
C -5.546 -3.038 0.837
N -4.920 -3.194 -0.440
C -4.895 -1.941 -1.167
C -3.777 -2.074 -2.236
O -2.606 -1.694 -1.559
C -1.492 -1.694 -2.390
H -7.712 -6.341 0.962
H -6.264 -6.236 0.207
H -7.414 -4.853 0.128
H -4.355 -4.693 1.659
H -4.998 -3.765 2.840
H -4.941 -2.207 1.202
H -6.573 -2.674 0.863
H -3.959 -3.497 -0.379
H -4.430 -1.191 -0.527
H -5.888 -1.631 -1.492
H -3.979 -1.486 -3.131
H -3.742 -3.108 -2.579
H -1.705 -1.224 -3.350
H -1.137 -2.712 -2.549
H -0.654 -1.194 -1.905
C 2.181 -3.356 -2.703
O 3.256 -2.913 -1.913
C 4.483 -2.692 -2.570
C 5.390 -1.812 -1.669
N 4.684 -0.913 -0.846
C 5.699 -0.206 -0.030
C 4.954 0.620 1.037
O 5.911 0.895 2.045
C 5.333 1.586 3.199
H 1.287 -3.384 -2.080
H 2.351 -4.266 -3.278
H 2.143 -2.583 -3.471
H 4.381 -2.289 -3.578
H 4.848 -3.691 -2.808
H 5.998 -1.426 -2.488
H 6.103 -2.412 -1.104
H 4.339 -0.239 -1.514
H 6.308 0.466 -0.636
H 6.370 -0.968 0.366
H 4.116 0.057 1.447
H 4.545 1.521 0.580
H 5.363 1.068 4.157
H 4.305 1.909 3.031
H 5.863 2.537 3.247
C 3.089 1.153 -3.423
O 4.088 1.273 -2.686
N 2.036 0.397 -3.282
N 2.951 2.063 -4.306
H 1.158 0.649 -3.712
H 1.989 -0.051 -2.378
H 2.289 1.841 -5.037
H 3.864 2.434 -4.530
C 1.288 2.660 1.094
O 0.949 3.700 1.695
N 1.605 2.480 -0.163
N 1.584 1.565 1.724
H 1.738 1.527 -0.471
H 1.194 3.202 -0.737
H 1.573 0.767 1.105
H 1.510 1.623 2.730
C 0.705 -3.626 1.323
O 1.605 -3.671 0.551
N 0.303 -2.525 1.930
N -0.159 -4.545 1.381
H -0.620 -2.467 2.337
H 0.672 -1.623 1.665
H -0.906 -4.606 2.057
H -0.115 -5.347 0.768
*
```

Calculated values
HOMO-LUMO gap (alpha / beta): 6.389 / 3.344 eV
HOMO (alpha / beta): -9.64 / -9.64 eV

=====

# 2
Entry from the Open Molecules 2025 dataset: a cluster of 8 separate species, C21H61BNO10 in total at a distorted geometry (ωB97M-V/def2-TZVPD).

Geometry as ORCA input:
```
! RIJCOSX wB97M-V def2-TZVPD def2/J DEFGRID3
* xyz 1 1
O -0.730 -1.709 1.775
N -1.969 -2.066 1.201
B -3.233 -1.311 1.762
O -3.164 -0.018 1.892
O -4.271 -1.990 2.035
H -0.850 -0.895 2.298
H -2.047 -3.073 1.301
H -1.892 -1.857 0.207
H -3.290 0.383 1.023
H -4.276 -2.918 1.768
C -2.500 -4.715 -3.140
C -1.901 -4.224 -1.841
C -0.385 -4.117 -1.933
O -2.264 -5.052 -0.722
H -2.124 -5.715 -3.370
H -3.584 -4.782 -3.068
H -2.255 -4.050 -3.958
H -2.325 -3.239 -1.604
H 0.049 -5.099 -2.128
H 0.044 -3.753 -0.996
H -0.085 -3.444 -2.735
H -1.918 -5.938 -0.882
C 0.363 2.220 -0.993
C -1.053 2.658 -0.678
C -1.111 3.632 0.487
O -1.878 1.494 -0.414
H 0.798 1.698 -0.134
H 0.375 1.534 -1.840
H 0.986 3.072 -1.241
H -1.495 3.130 -1.552
H -0.727 3.173 1.402
H -2.143 3.932 0.675
H -0.520 4.522 0.279
H -1.479 1.034 0.334
C 2.624 0.794 4.391
C 1.896 0.064 3.277
C 2.815 -0.905 2.556
O 1.312 0.989 2.343
H 3.448 1.382 3.979
H 1.956 1.479 4.904
H 3.032 0.093 5.118
H 1.048 -0.482 3.702
H 3.643 -0.367 2.089
H 2.277 -1.427 1.762
H 3.223 -1.645 3.244
H 2.027 1.500 1.943
C 2.069 -5.021 3.180
C 3.212 -4.884 4.176
C 3.195 -6.006 5.202
O 3.153 -3.611 4.826
H 1.108 -4.967 3.702
H 2.100 -4.210 2.451
H 2.117 -5.970 2.647
H 4.161 -4.893 3.643
H 2.265 -5.980 5.776
H 4.019 -5.892 5.903
H 3.276 -6.982 4.725